§ 2-20. Protocol for the filling of a vacancy in the office of a member of the parish council.  

Latest version.
  • (a)

    Pursuant to Section 2.04(A) of the Charter, upon the occurrence of a vacancy in the office of the Jefferson Parish Council, the remaining council members shall have thirty (30) days within which to fill the vacancy. The procedure and protocol for filling such vacancy shall be as provided in this Section.


    Upon the occurrence of a vacancy in the office of a member of the Jefferson Parish Council the council chairman shall request each of the remaining council members to nominate a person to fill said vacancy and to submit said nomination to the council clerk within three (3) days of the occurrence of the vacancy. If the chairman has vacated his position, the vice-chairman of the council shall make the request or if both have vacated their positions, the remaining at-large member of the council shall make the request.



    Each person nominated to fill a vacancy in the Jefferson Parish Council under the procedures in subsections (a) or (b) herein shall, within four (4) days of such nomination, submit to the council clerk a resume and a written statement as to his or her ability, experience and qualifications to meet the evaluation criteria for the office as outlined in subsection (e) herein. Nominees may also submit up to three (3) letters of reference to the parish clerk.


    The parish clerk shall certify all complete submissions from the nominees as required in subsection (c)(1) herein. Nominees failing to submit the required information shall not be considered to fill the vacancy for which they were nominated.


    Copies of all documents submitted by the nominees shall be distributed to the remaining members of the council and shall be made available for download and review by the public by being posted on the parish's web site.



    The council chairman or a majority of the remaining council members shall call a special meeting, in accordance with the provisions of Article 2, Section 2.06(D) of the Jefferson Parish Charter, to be held not less than two (2) business days nor more than nine (9) days after the deadline for submission from nominees under subsection (c)(1) herein. The notice of the special meeting shall include a statement of the purpose of the meeting to review the submissions from all qualified nominees and to interview all qualified nominees for the vacant office. In lieu of a special meeting, the chairman may schedule this review and interview to occur at a regularly scheduled meeting occurring within this period.


    At this council meeting, the council shall invite all qualified nominees to make presentations to the council and to respond to questions from council members. In addition, the council shall conduct a public interview with each qualified nominee at this special meeting while the remaining nominees are sequestered from the council chamber.


    The council shall evaluate all qualified nominees for the vacant office using relevant criteria, which may include the following:

    • Knowledge of the structure and functions of parish government;

    • Knowledge of the issues and challenges facing parish government;

    • Ability to develop and manage a responsible budget;

    • Experience in public administration or public service;

Unrelated to this article: data records =
Structure and simulated X-ray powder pattern of EuCdAu5 (the GGA-PBE geometry in the Materials Project; CuKα).
No peak broadening, texture or thermal motion is included.

Principal peaks in the range 15 to 90 degrees two-theta, by angle:
2theta  d (Å)  Rel. int.  (hkl)
31.77  2.817  73  2 1 1
32.24  2.777  26  0 0 2
34.72  2.584  91  2 2 0
36.74  2.446  57  1 1 2
40.43  2.231  100  3 0 1
40.82  2.211  80  2 0 2
47.77  1.904  26  3 2 1
63.08  1.474  27  3 0 3
63.56  1.464  42  3 3 2
71.58  1.318  30  5 2 1

a = 7.308 Å, b = 7.308 Å, c = 5.553 Å
α = 90.00°, β = 90.00°, γ = 90.00°
Space group I-4m2 (No. 119)
Unique sites:
Eu 0.000 0.000 0.000 x2
Cd 0.000 0.500 0.750 x2
Au 0.000 0.500 0.250 x2
Au 0.194 0.194 0.500 x8

=====

For Nb5Te4, the GGA-PBE geometry in the Materials Project gives the calculated powder X-ray diffraction pattern in this record (Cu Kα).
Kinematic intensities with the Lorentz-polarization factor, no thermal factor.

Principal peaks in the range 2θ = 10–80°, in order of falling intensity:
d (Å)	I (rel.)	hkl
2.531	100	3 0 1
2.894	61	1 2 1
2.334	58	2 4 0
2.087	54	4 1 1
1.447	28	2 4 2
1.336	26	2 7 1
1.845	22	0 0 2
2.460	22	3 3 0
1.476	20	7 1 0
3.690	20	2 2 0

Crystal structure
Cell lengths 10.4363, 10.4363, 3.6896 Å; angles 90.00, 90.00, 90.00 degrees
Space group I4/m (No. 87)
Inequivalent atoms, fractional coordinates:
Nb: 0.0000 0.0000 0.0000
Nb: 0.1199 0.1888 0.5000
Te: 0.0605 0.7150 0.0000

=====

[1]
The following is a simulated XRD peak list of Ca2Sc2Rh. It was derived from a structure optimized by DFT (GGA-PBE), using Cu Kα (weighted mean of Kα1 and Kα2).
Intensities are scaled so that the largest is 100.

Lattice parameters (Å, degrees): 6.8301 6.8301 5.7847 90.00 90.00 90.00
Fractional coordinates of all 10 atoms:
Ca 0.1816 0.3184 0.0000
Ca 0.3184 0.8184 0.0000
Ca 0.6816 0.1816 0.0000
Ca 0.8184 0.6816 0.0000
Sc 0.1625 0.6625 0.5000
Sc 0.3375 0.1625 0.5000
Sc 0.6625 0.8375 0.5000
Sc 0.8375 0.3375 0.5000
Rh 0.0000 0.0000 0.5000
Rh 0.5000 0.5000 0.5000

Peak list (8 most intense, 5 to 70 degrees two-theta, low angle first)
| 2θ/deg | d (Å) | intensity | hkl |
| --- | --- | --- | --- |
| 15.3 | 5.785 | 65 | 0 0 1 |
| 24.0 | 3.707 | 66 | 1 1 1 |
| 30.4 | 2.941 | 57 | 2 0 1 |
| 30.9 | 2.892 | 75 | 0 0 2 |
| 33.2 | 2.701 | 100 | 2 1 1 |
| 41.8 | 2.160 | 55 | 3 1 0 |
| 44.8 | 2.023 | 37 | 3 1 1 |
| 52.9 | 1.731 | 54 | 3 1 2 |



[2]
The following is a simulated XRD peak list of CaSi2Rh4. It was derived from a structure optimized by DFT (GGA-PBE), using Cu Kα (weighted mean of Kα1 and Kα2).
Intensities are scaled so that the largest is 100.

Lattice parameters (Å, degrees): 7.6574 7.6574 3.7738 90.00 90.00 90.00
Fractional coordinates of all 14 atoms:
Ca 0.0000 0.0000 0.0000
Ca 0.5000 0.5000 0.5000
Si 0.2291 0.2291 0.5000
Si 0.2709 0.7291 0.0000
Si 0.7291 0.2709 0.0000
Si 0.7709 0.7709 0.5000
Rh 0.0738 0.6678 0.5000
Rh 0.1678 0.4262 0.0000
Rh 0.3322 0.9262 0.5000
Rh 0.4262 0.1678 0.0000
Rh 0.5738 0.8322 0.0000

    • Expertise in a relevant field such as law, accounting or public administration;

    • Ability to respond to public concerns;

    • Knowledge of issues and challenges facing parish residents;

Inserted here: calculated crystals:
[1]
Tb7Co6Sn23: computed powder X-ray diffraction pattern (λ = 1.5418 Å (Cu Kα)), based on a cell relaxed with PBE.

Cell and atoms:
Cell lengths 9.7063, 9.7063, 9.9406 Å; angles 90.00, 90.00, 120.00 degrees
Space group P-3m1 (No. 164)
Unique sites:
Tb1 0.0000 0.0000 0.0000 (multiplicity 1)
Tb2 0.0420 0.5210 0.3060 (multiplicity 6)
Co1 0.1676 0.3352 0.8020 (multiplicity 6)
Sn1 0.0000 0.0000 0.5000 (multiplicity 1)
Sn2 0.0000 0.3467 0.0000 (multiplicity 6)
Sn3 0.1177 0.2355 0.2757 (multiplicity 6)
Sn4 0.2189 0.4378 0.5462 (multiplicity 6)
Sn5 0.3333 0.6667 0.1156 (multiplicity 2)
Sn6 0.3333 0.6667 0.8188 (multiplicity 2)

Most intense lines, 15 to 90 degrees two-theta, in order of rising 2θ:
2theta, d (Å), I_rel, h k l
32.7, 2.737, 19, 1 1 3
33.2, 2.697, 100, 0 3 1
33.5, 2.677, 65, 1 2 2
34.5, 2.602, 52, 2 0 3
36.8, 2.441, 46, 3 0 2
37.0, 2.427, 28, 2 2 0
37.7, 2.383, 23, 0 1 4
41.4, 2.181, 18, 2 2 2
56.9, 1.618, 23, 3 3 0
60.8, 1.524, 23, 2 3 4


[2]
DyThRe4: computed powder X-ray diffraction pattern (λ = 1.5418 Å (Cu Kα)), based on a cell relaxed with PBE.

Cell and atoms:
Cell lengths 5.4224, 5.4224, 9.1715 Å; angles 90.00, 90.00, 120.00 degrees
Space group P-3m1 (No. 164)
Unique sites:
Dy1 0.3333 0.6667 0.4379 (multiplicity 2)
Th1 0.3333 0.6667 0.0608 (multiplicity 2)
Re1 0.0000 0.0000 0.0000 (multiplicity 1)
Re2 0.0000 0.0000 0.5000 (multiplicity 1)
Re3 0.1701 0.3402 0.7418 (multiplicity 6)

Most intense lines, 15 to 90 degrees two-theta, in order of rising 2θ:
2theta, d (Å), I_rel, h k l
33.0, 2.711, 27, 1 1 0
35.0, 2.562, 70, 1 0 3
38.6, 2.334, 100, 1 1 2
39.3, 2.293, 21, 0 0 4
39.6, 2.275, 82, 0 2 1
43.3, 2.090, 18, 0 2 2
60.3, 1.535, 27, 1 2 3
62.7, 1.481, 25, 3 0 2
64.5, 1.445, 33, 2 0 5
69.3, 1.356, 28, 2 2 0


[3]
Ho5Si10Ir4: computed powder X-ray diffraction pattern (λ = 1.5418 Å (Cu Kα)), based on a cell relaxed with PBE.

Cell and atoms:
Cell lengths 12.6177, 12.6177, 4.2601 Å; angles 90.00, 90.00, 90.00 degrees
Space group P4/mbm (No. 127)
Unique sites:
Ho1 0.0000 0.0000 0.0000 (multiplicity 2)
Ho2 0.1161 0.3839 0.5000 (multiplicity 4)
Ho3 0.1755 0.6755 0.5000 (multiplicity 4)
Si1 0.0035 0.8435 0.5000 (multiplicity 8)
Si2 0.0657 0.5657 0.0000 (multiplicity 4)
Si3 0.1638 0.2007 0.0000 (multiplicity 8)
Ir1 0.0204 0.7543 0.0000 (multiplicity 8)

Most intense lines, 15 to 90 degrees two-theta, in order of rising 2θ:
2theta, d (Å), I_rel, h k l
19.9, 4.461, 24, 2 2 0
22.3, 3.990, 24, 3 1 0
23.1, 3.844, 21, 1 1 1
25.5, 3.500, 17, 3 2 0
29.0, 3.081, 35, 2 2 1
35.4, 2.535, 100, 4 0 1
36.1, 2.485, 35, 4 1 1
36.9, 2.439, 31, 3 3 1
40.4, 2.231, 25, 4 4 0
42.4, 2.130, 33, 0 0 2


[4]
Te2MoWS2: computed powder X-ray diffraction pattern (λ = 1.5418 Å (Cu Kα)), based on a cell relaxed with PBE.

Cell and atoms:
Cell lengths 3.3600, 3.3600, 38.4410 Å; angles 90.00, 90.00, 120.00 degrees
Space group P3m1 (No. 156)
Unique sites:
Te1 0.0000 0.0000 0.0000 (multiplicity 1)
Te2 0.0000 0.0000 0.0980 (multiplicity 1)

    • Involvement in community service, neighborhood or business associations or other public contributions to improving the quality of life in the parish; and

    • For candidates to fill a vacancy in the office of a district council member, knowledge of issues and challenges facing the constituents of the district.



    The council chairman or a majority of the remaining council members shall call a second special meeting, in accordance with the provisions of Article 2, Section 2.06(D) of the Jefferson Parish Charter, to be held not less than two (2) business days nor more than nine (9) days after the first meeting called under subsection (d)(1) herein. The notice of this second meeting shall include a statement of the purpose of the meeting to deliberate publicly on the qualified nominations to fill the vacant office, to invite and receive public comment on said nominations; and to appoint a qualified candidate to fill the vacant office in accordance with Article 2, Section 2.04 of the Jefferson Parish Charter. In lieu of a special meeting, the chairman may schedule this review and interview to occur at a regularly scheduled meeting occurring within this period.

Records of crystals, kept here for reference:
┌──
Starting from the PBE geometry in Alexandria, the PXRD pattern of Rb3Tl4Pb was simulated for λ = 1.5418 Å (Cu Kα).
Intensities are scaled so that the largest is 100.

Main lines, sorted by position (2θ = 10–90°):
2theta	I (rel.)
15.14	80.3
26.90	68.8
29.26	100.0
31.09	51.7
33.53	28.9
35.71	21.8
43.50	26.7
49.01	26.0

Atomic structure:
Unit cell a=7.1522 b=7.1522 c=8.1572 alpha=99.38 beta=99.38 gamma=55.21
Atoms (fractional coordinates):
Rb (0.0000, 0.0000, 0.0000)
Rb (0.1595, 0.1656, 0.5305)
Rb (0.8344, 0.8405, 0.4695)
Tl (0.3048, 0.3060, 0.1513)
Tl (0.4107, 0.4109, 0.8294)
Tl (0.5891, 0.5893, 0.1706)
Tl (0.6940, 0.6952, 0.8487)
Pb (0.4969, 0.5031, 0.5000)
└──


    If the council is unable to agree upon a candidate to fill the vacancy at this second council meeting, the council may call additional special council meetings following the procedure set forth in subsection (f)(1) herein as needed to continue deliberations until it reaches a majority consensus on a candidate to fill the vacancy.


    If only one (1) candidate is being considered to fill the vacancy, the council may choose to forgo this second meeting and may instead appoint the candidate to fill the vacancy at the first meeting called in accordance with subsection (d)(1) herein, following the review and interview of the candidate as called for in that subsection.


    All votes by the council to fill any vacancy in the office of the Jefferson Parish council shall be by roll call, with each member of the council's vote taken and recorded separately.

(Ord. No. 23910, § 1, 11-3-10; Ord. No. 24032, § 1, 6-15-11; Ord. No. 25418 , § 1, 8-23-17)